Utah County Birders Newsletter
June 2006
June Meeting
Upcoming Field Trips
Feather Talk
The sign would read:
by Lana Creer Harris
Personal Big Day by
• Unrelated to this piece: calculated molecules:
No. 1
{
  "formula": "C45H57N9O4PPbS2",
  "method": "ωB97M-V/def2-TZVPD",
  "species": ["Pb", "O", "C", "C", "C", "C", "C", "C", "C", "O", "N", "N", "C", "C", "C", "C", "C", "C", "N", "H", "H", "H", "H", "H", "H", "H", "H", "H", "H", "S", "C", "S", "C", "C", "N", "C", "N", "N", "C", "C", "C", "N", "C", "C", "H", "H", "H", "H", "H", "H", "O", "H", "H", "N", "C", "C", "C", "C", "C", "N", "H", "H", "H", "H", "H", "H", "O", "P", "C", "C", "C", "C", "C", "C", "C", "C", "C", "C", "C", "C", "C", "C", "C", "C", "C", "C", "H", "H", "H", "H", "H", "H", "H", "H", "H", "H", "H", "H", "H", "H", "H", "H", "H", "H", "H", "H", "H", "H", "H", "H", "H", "H", "H", "H", "H", "H", "H", "H", "H"],
• The piece goes on:
Flora M. Duncan
Field Trip Report - BYU Bird Walk - May 6th, 2006
Field Trip Report - Southern Utah Bird Trip - May 12th - 13th, 2006
Backyard Bird of the
May Hotline
Wednesday, June 14th.
Wayne Martinson is the State coordinator for
the Audubon Society’s
Important Bird Areas Program. He will discuss important Bird Areas
around The Great Salt Lake and Utah Lake.
Click here for details on Utah's
IBA Program.
Meet at 7:00 PM in the Bean Museum Auditorium on the BYU Campus.
Saturday, June 3rd
We’ll do a Big Sit. We will sit at the
Southeast corner of the Provo Airport Dike (Where you first see the lake after
passing the airport-at the first bend in the mote) from 6:00 a.m. - 12:00 noon
and from 5:00 p.m. - 8:30 p.m. Come and go as you like.
Saturday, June 17th
KC Childs is going to take us to Timpooneke Trail
in American Fork Canyon.
Meet at the Orem Center Street Park & Ride at 7:00 am.
Feather Talk
By Alton Thygerson
One Call, That’s All
Don’t be misled by this article’s title—it does not apply to bird calls. The
Salt Lake City attorney’s television advertisement saying “One Call, That’s All”
gave me the idea for this month’s article.
Many of you travel to other states to vacation or visit family. Some of you may
involve birding on such trips. Your travels can lead to one or more lifers or to
a better look at a bird you’ve previously seen.
It is helpful to use the short-cut of “one call, that’s all” to locate desirable
birds while outside of your usual birding haunts. I’m suggesting telephoning or
e-mailing before your trip people who are in the know as to where a particular
bird can be found.
You can find local experts by using the American Birding Association’s A
Birder’s Resource Guide. This publication is one of the many benefits and
services available to members of the American Birding Association. It contains
Yellow Page Advertising showing local professional bird guides, festivals, tour
operators, and destination resorts. All of these can be helpful, but there is a
less expensive way of locating a desired bird in a particular area. That’s using
another part of the ABA Resource Guide known as the ABA Membership Directory
arranged alphabetically and by state.
During a visit with a son attending graduate school in Pennsylvania, I wanted to
see a Henslow’s Sparrow which would be a lifer. The Henslow’s Sparrow is rare
and declining in numbers. It is found in wet, weedy fields. It has a very weak
song, often given at night or in rain. It is more often heard than seen though
its song is nothing more than a short hiccupped, “Tslick.”
From the ABA Resource Guide, I called a local Pennsylvania birder who the
_The article is interrupted by quantum chemistry results_
~~~
1.
{"formula": "C8H8Cl2O2S", "method": "wB97M-V/def2-TZVPD", "lumo_energy_ev": [-0.3812, -0.3813], "spin_multiplicity": 1, "homo_lumo_gap_ev": [7.76, 7.76], "e_homo_ev": [-8.144, -8.143], "charge": 0, "total_energy_ha": -1778.5555, "species": ["C", "C", "C", "C", "C", "C", "C", "C", "O", "O", "S", "Cl", "Cl", "H", "H", "H", "H", "H", "H", "H", "H"], "coordinates": [[-0.7170, -1.2687, 1.6791], [0.4843, -0.7168, 1.8465], [-0.1092, 1.1489, 0.2039], [-1.3510, 0.5436, 0.1873], [0.1554, 2.4793, -0.3720], [-1.7815, -0.6825, 0.8266], [0.9662, 0.3258, 0.8906], [1.1505, -0.5616, -2.2910], [0.7382, 2.7664, -1.3871], [0.2917, -2.1875, -0.4312], [1.4660, -1.4050, -0.6749], [-2.6740, 1.3081, -0.6936], [2.4156, 1.2070, 1.2514], [-1.0001, -2.1310, 2.0958], [1.2204, -1.2314, 2.5852], [-0.1890, 3.3379, 0.1798], [-2.1262, -1.3844, 0.1779], [-2.5944, -0.4637, 1.4720], [2.0213, 0.2412, -2.3616], [0.1937, 0.0186, -2.2100], [1.4391, -1.3444, -2.9747]]}

=====

2.
{"formula": "C8H8ClI2NO2", "method": "wB97M-V/def2-TZVPD", "lumo_energy_ev": -0.2883, "spin_multiplicity": 1, "homo_lumo_gap_ev": 8.23, "e_homo_ev": -8.522, "charge": 0, "total_energy_ha": -1570.3705, "species": ["C", "C", "C", "C", "C", "C", "C", "C", "N", "O", "O", "Cl", "I", "I", "H", "H", "H", "H", "H", "H", "H", "H"], "coordinates": [[-0.7723, 2.1130, 0.2031], [-3.3689, 0.4091, 1.0046], [-2.1047, 2.4325, 0.7841], [1.6119, -0.5707, -0.1155], [-0.2232, 0.8812, 0.2376], [-3.5719, -0.4431, -0.0061], [3.4065, -2.1252, -0.5430], [2.9936, -0.6598, -0.8007], [-3.0848, 1.7250, 0.9901], [1.0047, -1.4340, 0.4993], [1.0143, 0.6510, -0.3963], [-2.2725, 4.1591, 1.1382], [-3.3885, 0.2090, -2.0119], [-4.1374, -2.4081, 0.4301], [-0.3559, 2.8758, -0.4661], [-3.7501, 0.0790, 1.9328], [-0.3964, 0.0308, 0.8803], [2.9216, -2.6946, -1.2714], [4.3760, -2.2641, -0.7196], [3.2299, -2.3741, 0.4773], [3.0728, -0.5256, -1.8606], [3.7951, -0.0661, -0.3863]]}

=====

3.
{"formula": "C8H8F2", "method": "wB97M-V/def2-TZVPD", "lumo_energy_ev": 0.6873, "smiles": "CC1=CC=C[C@@H]2[C@@H](F)[C@]12F", "spin_multiplicity": 1, "homo_lumo_gap_ev": 8.84, "e_homo_ev": -8.153, "charge": 0, "total_energy_ha": -509.2602, "species": ["C", "C", "C", "C", "C", "C", "C", "F", "C", "F", "H", "H", "H", "H", "H", "H", "H", "H"], "coordinates": [[-0.9300, 2.2179, 0.3580], [-0.2849, 0.8608, 0.3129], [0.6241, 0.3499, 1.1907], [0.9470, -1.0140, 1.4586], [0.5580, -1.9561, 0.5668], [-0.1297, -1.5146, -0.6867], [0.6206, -0.4080, -1.6474], [0.4501, -0.6121, -2.9501], [-0.5663, -0.0858, -0.8166], [-1.7784, -0.0633, -1.4770], [-0.2067, 2.8955, -0.1206], [-1.0041, 2.5621, 1.4087], [-1.9267, 2.2962, -0.1375], [0.8131, 1.0866, 2.0256], [1.3724, -1.4176, 2.3112], [0.6758, -2.9516, 0.7078], [-0.8669, -2.3167, -1.1510], [1.6327, 0.0708, -1.3533]]}

=====
~~~
_So much for the quantum chemistry results_
resource guide identified that she and her husband were willing to answer
telephone inquiries about birds and their locations.
I called and received specific directions to a Henslow’s Sparrow location. She
said that neither she nor her husband could go out the next morning, but later
in the week could if I didn’t locate the bird on my own. Armed with the
directions, my son and I found the location and spent two hours without success.
Two days later, after a visit to Gettysburg, I called her and told her about my
failing to locate the sparrow. She immediately said that she would meet me the
next morning at 6:00 a.m. at the location. She was there and as luck would have
it, she had heard and seen several of the wanted sparrows, but when I showed up
they disappeared. She led me up and down a road and to a couple of other fields
with only a long-distance view of the sparrow. As we were preparing to leave the
area, she located a Henslow’s Sparrow for a close-up view.
While visiting my California son I called a local birder for directions to a
Wrentit and was successful because of his excellent directions, however, I
wasn’t so fortunate when I tried to follow his directions to a Mountain Quail
The ABA Resource Guide was last issued in 2003. A new edition will be out this
August. If you don’t belong to the ABA, you might consider joining just to
acquire a copy of their resource guide listing birders who can direct you to a
desired bird while you are in unfamiliar birding country.
Remember, “one call, that’s all” can add a lifer to your list.
Bird-finding Guides
Another very helpful method of locating a desired bird is to use bird-finding
guides. These guides may be simple pamphlets, a trail map similar to those which
Keith Evans has produced for Utah, or a sizable book. Regardless of how they
look, they can lead you to great birding spots.
Bird-finding guides often give specific notes about the best times to look for
particular birds at any given place. To make the best use of a bird-finding
guide, you should study it before your birding trip and then take it along to
check directions as you go.
Within Utah an excellent way of finding good birding spots is utahbirds.org.
This website lists good spots in all 29 counties and is the best source for
locations and directions.
For most bird species, you can do a search (e.g., google) where one or more
websites can provide help with identification and location for any desired bird.
For example, try Mountain Bluebird, Turkey Vulture, or any other bird and you
will be surprised at what pops up.
Bird hotlines (internet or phone) can also give directions to birds you may want
on your list. As you travel, use the ABA Resource Guide which gives local
hotline phone numbers.
There are chat groups which can lead you to desired birds and their locations.
Glenn Barlow belongs to an eastern birding chat group and has corresponded with
this group for years and has never met most of the people. This spring Glenn
spent time with members of that group in locating Utah birds. In fact while I
was on the King Ranch in Texas this spring, one of the tour’s participants was a
member of Glenn’s chat group and had known him for over a decade.
Bottomline: Consider using others’ directions on locating desired birds.
The sign would read:
“Blue spruce condominiums for rent, no predators allowed”.
by Lana Creer Harris
The Blue Spruce in our yard is about 30 feet tall. It started as a five foot,
live Christmas tree in the early 70’s. Now it is home to a large aggregation of
Winter residents include Dark eyed Juncos, House Sparrows and House Finches.
Some times during the winter the Juncos only drop in for a nosh and the finches
don’t always stick around, but the lay-about sparrows hang out all winter,
cadging food and causing a racket. I’ve taken to purchasing really cheap bird
food in winter. The sparrows don’t seem to notice. They are the kind who would
buy generic beer, smoke cheap cigarettes, and refuse to hold a job.
But at the height of summer the place is really jumping with quality guests.
Goldfinches arrive. The House Finches outnumber the sole pair of goldfinches
five to one, and the thistle feeder empties faster. Robins move in, and a
Brewer's Blackbird drops in to forage the lawn, but doesn’t nest. A pair of White-crowned Sparrows sets up housekeeping about the same time. I hear the male
declaring his territory in a vocal battle with Ring-necked Pheasants and Western
Meadowlarks. Little guy has no way of knowing they aren’t interested in his
fourth floor walk-up.
As insects begin hatching out in the farm country where I live, Western
Kingbirds nest in the penthouse. They keep the rowdy, ne’er do well House
Sparrows in line. Some summers they are so powerful the sparrows hie themselves
to a barnyard.
When nectar rich flowers start to bloom the Black-chinned Hummingbirds set up
house keeping in the lower third of the tree. Their feeders are close enough
they can feed, keep an eye on the nest and escape marauding barn cats. They’ve
been nesting in the tree for probably 15 years. My late mother fed them, even
had a male follow her into the house demanding food. I wonder if these are the
descendants of the pair my mother fed. No way to know, but it’s a nice thought.
Once in a great while the Great Horned Owl who lives in the neighborhood roosts
there at night. Owls may fly silently, but when started by me walking my dogs
they make a heck of a racket getting out of a spruce tree in the dark.
Sharp-shinned Hawks drop in to lower House Sparrow numbers, but they use the
more open maple trees to perch. A warning cry goes out from the kingbirds and
all the residents duck back inside their homes until the all clear is sounded.
My neighborhood is much more interesting and diverse because of the spruce tree
Personal Big Day
by Flora M. Duncan
On Saturday, 20 May, LeIla Ogden, Esther Duncan and I were led by Mark
Stackhouse in pursuit of Personal Big Day numbers at Deseret Ranch. We started
the quest in areas that were not visited previously because of bad roads and bad
light. Only birds that were first sightings for the year or other Uncommon or
exciting sightings will be noted. New to my list this year include: Greater
Scaup, Barrow's Goldeneye. Of special joy was the sighting of three grouse in
three different sites: Greater Sage Grouse, Ruffed Grouse, and Blue Grouse.
For me it was special to see Golden eaglets on the nest; Prairie Falcon
incubating; and Bullock's Oriole female gathering long strands of material for
nest building. Great flocks of Red-necked Phalaropes were beautiful in flight
showing light and dark variations in plumage.
The Black Tern was fun to see along with the first Forster's Tern of the year.
Three Great Horned Owls were observed in the barn. A single Burrowing Owl was
seen in the most unexpected place. My memory doesn't let me recall the scene.
Late in the evening, Common Poorwills were sitting along the dirt roads. One
place, Mark said that shrikes had been seen--sure enough, there was the
Loggerhead Shrike. The same thing happened with the Sage Sparrow and at the same
time a Sage Thrasher was in the same spot--about six feet apart. Sparrows
observed were: Brewer's, Vesper, Lark, Savannah, Fox, White-crowned with a Song
Sparrow heard me but seen by others.
Now for the most unusual bird of the day--Rose-breasted Grosbeak in the trees
near the housing units. The Lazuli Bunting was a first seen for this year.
Bullock's Oriole and the Mountain Bluebird were vibrant.
From previous trips, I know there are more birds to be seen but had to save them
for the next trip. (The count for the day was 122)
Field Trip Report
BYU Bird Walk - May 6th, 2006
by Eric Huish
Black-headed Grosbeak singing from the
**These molecular data were left in the article by mistake:**
<<<
12
Properties=species:S:1:pos:R:3 method="wB97M-V/def2-TZVPD" e_tot_ev=-26821.220 de_lowest_ev=0.594 max_force_ev_per_a=1.9 smiles="[H]/N=C(/NS)SC" lumo_energy_ev=0.65 gap_ev=9.70
H 0.649 -1.260 -2.620
N 1.229 -0.685 -1.974
C 0.530 -0.242 -1.025
N 1.206 0.451 0.006
S 0.674 2.113 0.221
S -1.241 -0.389 -0.844
C -1.417 -0.590 0.934
H 2.179 0.470 -0.201
H 0.534 2.101 1.559
H -1.342 0.366 1.517
H -0.639 -1.282 1.332
H -2.362 -1.054 1.095

~~~~~

Entry 1:
{
  "formula": "C10H20BeBrClF2N4NaO6",
  "method": "ωB97M-V with the def2-TZVPD basis set",
  "homo_ev": -4.704,
  "lumo_energy_ev": -2.578,
  "charge": -1,
  "orbital_gap_ev": 2.126,
  "species": ["N", "C", "O", "C", "C", "C", "C", "O", "O", "H", "H", "H", "H", "H", "C", "O", "N", "N", "H", "H", "H", "H", "Be", "F", "O", "H", "H", "C", "C", "O", "H", "H", "H", "H", "H", "H", "Br", "Na", "C", "C", "N", "H", "H", "H", "Cl", "F"],
  "positions_angstrom": [[-3.042, -0.915, 3.254], [-3.074, -0.743, 2.147], [-2.844, -0.616, 0.865], [-3.797, -1.348, 0.034], [-3.362, -2.841, -0.203], [-1.957, -2.529, -0.783], [-2.088, -1.069, -1.302], [-1.240, -0.364, -1.630], [-3.470, -0.807, -1.235], [-4.829, -1.215, 0.363], [-3.411, -3.556, 0.655], [-3.919, -3.098, -1.123], [-1.671, -3.194, -1.608], [-1.186, -2.510, -0.003], [2.179, 2.578, -0.650], [3.285, 3.095, -0.741], [1.947, 1.248, -0.871], [1.056, 3.277, -0.324], [1.034, 0.830, -0.814], [2.736, 0.675, -1.117], [1.154, 4.262, -0.158], [0.149, 2.852, -0.245], [-3.098, -5.415, 1.309], [-3.056, -3.625, 2.312], [2.576, -0.267, 2.308], [1.845, 0.000, 2.897], [2.345, 0.130, 1.446], [1.032, 3.565, -4.909], [1.767, 4.895, -4.933], [1.979, 5.392, -3.616], [0.067, 3.663, -4.410], [0.868, 3.193, -5.925], [1.603, 2.820, -4.350], [1.186, 5.643, -5.474], [2.741, 4.789, -5.428], [2.501, 4.740, -3.135], [3.488, -1.937, 0.844], [-1.211, -6.361, 2.826], [1.233, -2.880, 5.629], [0.557, -3.838, 4.749], [0.030, -4.563, 4.062], [0.493, -2.310, 6.187], [1.878, -3.412, 6.326], [1.839, -2.195, 5.033], [-0.582, 3.643, -2.115], [3.492, -0.238, 4.523]],
>>>
top of one of the old cottonwood trees on the BYU campus - May 6, 06
photo by Eric Huish |
7 Birders (Bonnie, Tuula, Margaret, Milt, Eric, Robert and Kevin a first time
birder acquaintance of Roberts) met at the BYU Botany Pond to do some spring
birding on campus. The area around the botany pond was filled with bird song as
we gathered. Lesser Goldfinches, House Finches, Robins, Quail and Doves were
singing and before we even got started I heard my first Yellow Warbler of the
year and couldn’t wait to find it. It is so exciting when these colorful
songbirds come back after being absent all winter. I knew this was going to be a
great day for birding.
Robert led us around the network of trails through some beautiful wooded areas
on campus. All the plants were leafing out. Lilacs, Chokecherries and many other
trees were in bloom. But the best part was all the bird activity and bird song
We saw many new spring arrivals. We found the Yellow Warbler we heard earlier
plus a couple more bright males. Also first for me this year were Western
Tanager, Orange-crowned Warbler, Green-tailed Towhee and an Empidonax
Flycatcher. Almost first-of-year for me was a beautiful singing male
Black-headed Grosbeak (I had seen a female in my yard the day before) and a
heard-only Bullocks Oriole (I had seen my first only two days earlier).
There were a couple mountain species still lingering. We saw and heard quite a
few White-crowned Sparrows. At one point Robert thought he heard nuthatches and
sure enough we latter found a pair of Red-breasted Nuthatches foraging on a dead
broken limb on a Cottonwood Tree.
We could tell the resident birds were used to people walking along the pathways
on campus because we were able to walk right up to a Downy Woodpecker and a
sleeping California Quail. I counted 32 species and we all had a great
time. Thank you Robert for leading a fun bird walk. I never knew there was so
much great bird habitat on the BYU Campus.
Field Trip Report
Southern Utah Bird Trip - May 12th - 13th, 2006
by Kay Stone
Green Heron at Stonebridge Golf Course
- May 12, 06
photo by Eric Huish
Birding at Zion National Park - May
12th, 2006
photo by Eric Huish
Friday morning at 7:Am found several eager Utah County Birders and two Salt
Lake City Birders who met at Carol Jean Nelson's home in St. George, Utah.
Our morning started off nicely with a sighting of a Green Heron and a Black
Phoebe off a bridge over the Santa Clara River. At Tonaquint Park we saw some
good birds including a Bullocks Oriole, Gambel's Quail, Sora and Say's Phoebe.
From there we traveled to the area just south of the Dixie Center. I believe it
was Steve Sommerfield that saw a Gray Fox and then Leila Ogden noticed a
Roadrunner in the same vicinity; to me a Roadrunner" really makes" a trip to
Southern Utah.
We were feeling pretty good about our success then and traveled over to Red
Hills Golf Course. We studied the Palm Trees south of the golf course and then
appeared in all his regal beauty, a male Hooded Oriole. We all got good looks
and excitedly took off to the course itself.
We soon saw a bright red Summer Tanager and then a Summer Tanager and a Western
Tanager close together. We proceeded up the hill to the north east corner and
were rewarded with gorgeous looks at a male Vermillion Flycatcher. Pictures of
this bird just don't seem to do it justice. We also saw a spotted Sandpiper and
a Phainopepla while there.
Our next stop was at Sun River Golf Course, I think, and with the help of Scopes
we saw Ring Necked Ducks, Yellow Headed Blackbirds, Pied Billed Grebe and
Cinnamon Teal.
Snow Canyon became our next stop and at the headquarters we refueled our bodies
and watched for birds. We saw a Bewick's Wren and some of us saw a ladder-Back
As the afternoon wore on and the temperature soared we headed to the Washington
Fields where we saw Burrowing Owls. I was surprised to see them so close to farm
equipment and a hay barn.
We then traveled east towards Zion's Park and stopped at the sewage pond and saw
several species of Ducks and some Phalaropes.
Our next stop was at the Brentwood Trailer Park, where we saw the rare Inca
We pushed on to Zion's and after riding the shuttle to the end of the line, we
started up the trail in hopes of finding the Painted Redstart. After walking
farther than we had in past trips, we finally heard that it had been sighted. We
all got good looks at it and then headed back to meet the shuttle. On this hike
we also saw a Lazuli Bunting, Black Capped Chickadee, Dipper, and Warbling Vireo
and a few others. On the shuttle we saw several Wild Turkeys and also deer, and
we also saw deer on the trail.
Friday Evening we rode out to a pond to look for Lesser Nighthawks, but were
only successful in finding a few bats.
At 6:AM the next day, we were at Carol Jean's again ready to take on Lytle
Ranch. On the way we stopped at Welcome Springs and had a good hike. We were
looking for Merrill Webb, who had joined us that day, and after a nice hike we
found him and Steve Sommerfield as well. They were, if I remember correctly,
looking for the Black Tailed Gnatcatcher and the Black Chinned Sparrow and
hadn't been successful.
At Lytle, we visited the Humming Bird feeders and saw a male Costa's Humming
Bird and a Black Chinned Hummer. Before this report get to long, let me just
say, that at Lytle or on the road we saw Cactus Wren, White Winged Dove,
Wilson's Warbler, Crissal Thrasher, Lucy's Warbler and Bells Vireo. As we
approached the farm house after our trek up the pond, Eric reported on the radio
that he had seen and heard the Brown Crested Flycatcher. With that news some
tired bodies received an increase of energy and hurried toward "Eagle Eye" Eric,
but alas, it had disappeared Eric found it again and a few got fleeting looks at
We stopped at Utah Hill on the way back, but with limited success. Eric got a
quick look at a Black Tailed Gnatcatcher. The rest of us had to be satisfied
with Blue Gray Gnatcatcher's.
All in all it was a very successful trip. To my knowledge we all saw over sixty
species and some saw over eighty or ninety. We appreciated Steve and Cindy
Sommerfield joining us and they added to our success and enjoyment. Those on the
trip, either for both days or one are, Carol Jean Nelson, Bonnie Williams, Flora
Duncan, Leila Ogden, Milt Moody, Tuula Rose, Steve and Cindy Sommerfield,
Merrill Webb, Cheryl and Stephanie Peterson, Kay Stone, Lana Rogers and her
sister whose name I can't spell or would mispronounce, but were glad she came.
If I have forgotten anyone, and I worry about such things, I will apologize to
you profusely when we meet.
Backyard Bird of the
May 2006
Steve Carr - Holladay
Black-headed Grosbeak - Male and female visiting feeders, have a nest
Alona Huffaker - Springville
New one for my yard list - the Eurasian Collared Dove!
Eric Huish - Pleasant Grove
Chipping Sparrow - singing.
Milt Moody - Provo
A Pair of Downy Woodpecker - inspecting my trees but moving on.
Cheryl Peterson - Provo
Bullock's Oriole
Bruce Robinson - West Jordan
Western Scrub Jay - In my living room!! (Photographic proof!)
Tuula Rose - Provo
A pair of Bullock's Orioles coming to the hummingbird feeders.
Reed Stone - Provo
Downy Woodpecker - They shuttle back and forth from my suit feeder to
their nesting cavity.
Alton Thygerson - Provo
Black-headed Grosbeak - comes to a feeder daily.
Bonnie Williams - Mapleton
Wilson’s Warbler - Saw it a couple different times.
We would like you to share your favorite backyard bird each
month. Please send your favorite bird at the end of the month to
newsletter@utahbirds.org or call 360-8777. If you would like a reminder at
the end of the month e-mail the above address.